Source =
********
[1]
! LuInGeTe3 (GGA-PBE, relaxed); values from VASP
&SYSTEM
  ibrav = 0, nat = 12, ntyp = 4
/
ATOMIC_SPECIES
Ge 72.64 Ge.upf
In 114.82 In.upf
Lu 174.97 Lu.upf
Te 127.60 Te.upf
CELL_PARAMETERS angstrom
-0.8314 7.3065 -2.6141
-3.2983 -5.8892 3.9177
4.4616 4.0060 9.7783
ATOMIC_POSITIONS angstrom
Ge -2.0967 -4.4268 6.1341
Ge 2.4286 9.8501 4.9478
In -0.3258 5.0463 1.4450
In 0.6576 0.3770 9.6368
Lu -2.0648 0.7087 0.6518
Lu 0.1659 2.7117 5.5409
Te -2.7660 -3.8978 3.4389
Te -1.1528 0.6222 3.6349
Te -0.9198 -2.2402 7.4851
Te 1.2517 7.6635 3.5968
Te 1.4847 4.8011 7.4470
Te 3.0979 9.3212 7.6430
! * total moment: 0.0 Bohr magnetons per cell
! * VASP energy: -4.0743 eV/atom

[2]
! PmMg2Cu9 (GGA-PBE, relaxed); values from VASP
&SYSTEM
  ibrav = 0, nat = 12, ntyp = 3
/
ATOMIC_SPECIES
Cu 63.55 Cu.upf
Mg 24.30 Mg.upf
Pm 145.00 Pm.upf
CELL_PARAMETERS angstrom
2.5236 1.4570 8.0323
-2.5236 1.4570 8.0323
0.0000 -2.9140 8.0323
ATOMIC_POSITIONS angstrom
Cu 0.0000 1.4693 10.0831
Cu 0.0000 0.0000 8.0281
Cu 1.2725 0.7347 14.0139
Cu -1.2725 0.7347 14.0139
Cu 0.0000 0.0000 12.0485
Cu 1.2725 -0.7347 10.0831
Cu -1.2725 -0.7347 10.0831
Cu 0.0000 0.0000 16.0689
Cu 0.0000 -1.4693 14.0139
Mg 0.0000 0.0000 3.5081
Mg 0.0000 0.0000 20.5889
Pm 0.0000 0.0000 0.0000
! * total moment: 0.0 Bohr magnetons per cell
! * VASP energy: -3.6125 eV/atom

[3]
! Sc2NbGe (GGA-PBE, relaxed); values from VASP
&SYSTEM
  ibrav = 0, nat = 4, ntyp = 3
/
ATOMIC_SPECIES
Ge 72.64 Ge.upf
Nb 92.91 Nb.upf
Sc 44.96 Sc.upf
CELL_PARAMETERS angstrom
0.0000 3.3473 3.3473
3.3473 0.0000 3.3473
3.3473 3.3473 0.0000
ATOMIC_POSITIONS angstrom
Ge 3.3473 3.3473 3.3473
Nb 1.6737 1.6737 1.6737
Sc 0.0000 0.0000 0.0000
Sc 5.0209 5.0209 5.0209
! * total moment: 1.1 Bohr magnetons per cell
! * VASP energy: -6.9398 eV/atom

[4]
! RbNbCl3 (GGA-PBE, relaxed); values from VASP
&SYSTEM
  ibrav = 0, nat = 5, ntyp = 3
/
ATOMIC_SPECIES
Cl 35.45 Cl.upf
Nb 92.91 Nb.upf
Rb 85.47 Rb.upf
CELL_PARAMETERS angstrom
-2.2961 -3.7968 -2.6129
1.5272 -3.3811 3.5709
-4.3926 0.8256 2.6604
ATOMIC_POSITIONS angstrom
Cl -0.6830 -3.5328 0.6598
Cl -3.7837 -1.4030 0.2898
Cl -1.8720 -1.1952 3.3817
Nb -2.8434 -3.1268 1.9683
Rb -0.3172 0.0596 0.1921
! * total moment: 3.0 Bohr magnetons per cell
! * VASP energy: -4.4774 eV/atom

[5]
! NaSbPt (GGA-PBE, relaxed); values from VASP
&SYSTEM
  ibrav = 0, nat = 3, ntyp = 3
/
ATOMIC_SPECIES
Na 22.99 Na.upf
Pt 195.08 Pt.upf
Sb 121.76 Sb.upf
CELL_PARAMETERS angstrom
0.0000 3.2057 3.2057
3.2057 0.0000 3.2057
3.2057 3.2057 0.0000
ATOMIC_POSITIONS angstrom
Na 0.0000 0.0000 0.0000
Pt 1.6028 1.6028 1.6028
Sb 4.8085 4.8085 4.8085
! * total moment: 0.0 Bohr magnetons per cell
! * VASP energy: -3.5266 eV/atom

[6]
! Tb2HoCu4Si2Sn2 (GGA-PBE, relaxed); values from VASP
&SYSTEM
  ibrav = 0, nat = 11, ntyp = 5
/
ATOMIC_SPECIES
Cu 63.55 Cu.upf
Ho 164.93 Ho.upf
Si 28.09 Si.upf
Sn 118.71 Sn.upf
Tb 158.93 Tb.upf
CELL_PARAMETERS angstrom
-2.1681 3.3128 7.1962
2.1681 -3.3128 7.1962
2.1681 3.3128 -7.1962
ATOMIC_POSITIONS angstrom
Cu 0.0000 2.0559 4.9896
Cu 0.0000 2.0559 9.4028
Cu 2.1681 1.2569 2.2066
Cu 2.1681 1.2569 -2.2066
Ho 0.0000 0.0000 0.0000
Si 0.0000 1.2069 7.1962
Si 2.1681 2.1059 0.0000
Sn 0.0000 0.0000 3.1311
Sn 0.0000 0.0000 11.2613
Tb 0.0000 3.3128 1.7927
Tb 2.1681 0.0000 5.4035
! * total moment: 0.0 Bohr magnetons per cell
! * VASP energy: -4.9179 eV/atom
! * E above lowest polymorph: 0.00 eV per formula unit

[7]
! CdNiBOs (GGA-PBE, relaxed); values from VASP
&SYSTEM
  ibrav = 0, nat = 4, ntyp = 4
/
ATOMIC_SPECIES
B 10.81 B.upf
Cd 112.41 Cd.upf
Ni 58.69 Ni.upf
Os 190.23 Os.upf
CELL_PARAMETERS angstrom
0.0000 2.9359 2.9359
2.9359 0.0000 2.9359
2.9359 2.9359 0.0000
ATOMIC_POSITIONS angstrom
B 0.0000 0.0000 0.0000
Cd 4.4038 4.4038 4.4038
Ni 2.9359 2.9359 2.9359
Os 1.4679 1.4679 1.4679
! * total moment: 0.0 Bohr magnetons per cell
! * VASP energy: -5.3333 eV/atom

[8]
! TmLuSbC (GGA-PBE, relaxed); values from VASP
&SYSTEM
  ibrav = 0, nat = 8, ntyp = 4
/
ATOMIC_SPECIES
C 12.01 C.upf
Lu 174.97 Lu.upf
********

Brief =
The reader should return only the lines above with the word "ATOMIC_POSITIONS" in them.

Solution =
ATOMIC_POSITIONS angstrom
ATOMIC_POSITIONS angstrom
ATOMIC_POSITIONS angstrom
ATOMIC_POSITIONS angstrom
ATOMIC_POSITIONS angstrom
ATOMIC_POSITIONS angstrom
ATOMIC_POSITIONS angstrom